“A surprise.”

Her hand froze. Was Chance about to pop the question? “What kind of surprise?”

“The life-changing sort.”

This was it, she was sure of it. Chance was going to ask her to marry him. She wondered how he was going to do it. He’d asked her to meet him here, but she had to be back at work in thirty minutes. Maybe he was just going to tell her where to meet him later tonight. She pictured getting all dressed up for dinner at a fancy restaurant, and the engagement ring inside dessert when Chance’s hand snapped around her wrist.

VASP calculation (PBE) on NaCaGdPb after structural relaxation.

Lattice parameters (Å, degrees): 5.540 5.540 5.540 60.00 60.00 60.00
Site moments in Bohr magnetons follow the coordinates.
Positions (direct):
Ca  0.000  0.000  0.000  -0.02
Na  0.250  0.250  0.250  0.00
Pb  0.750  0.750  0.750  0.04
Gd  0.500  0.500  0.500  -7.08

- formation energy (eV/atom) = -0.230
- SG = F-43m (216)
- DOS(E_F) (states/eV/atom) = 1.47
- total magnetic moment (μB per cell) = 7.3
- density (g cm⁻³) = 5.9

VASP calculation (PBE) on SrCaGdNbO6 after structural relaxation.

Lattice parameters (Å, degrees): 5.987 5.987 5.987 60.00 60.00 60.00
Site moments in Bohr magnetons follow the coordinates.
Positions (direct):
Sr  0.750  0.750  0.750  0.00
Ca  0.250  0.250  0.250  0.00
O  0.264  0.264  0.736  0.00
O  0.736  0.736  0.264  0.00
O  0.264  0.736  0.736  0.00
O  0.736  0.264  0.736  0.00
O  0.736  0.264  0.264  0.00
O  0.264  0.736  0.264  0.00
Nb  0.500  0.500  0.500  0.02
Gd  0.000  0.000  0.000  6.89

- energy relative to the elements, uncorrected (eV per atom) = -2.87
- SG = F-43m (216)
- energy relative to the lowest polymorph listed for this composition (meV/atom) = 101
- DOS(E_F) (states/eV/atom) = 0.00
- total magnetic moment (μB per cell) = 7.0
- density (g cm⁻³) = 5.2

VASP calculation (PBE) on SrCaGdNbO6 after structural relaxation.

Lattice parameters (Å, degrees): 5.821 5.821 8.523 90.00 90.00 90.00
Site moments in Bohr magnetons follow the coordinates.
Positions (direct):
Gd  0.000  0.000  0.000  6.90
Gd  0.500  0.500  0.500  6.90
O  0.158  0.692  0.486  0.00
O  0.692  0.842  0.514  0.00
O  0.808  0.342  0.014  0.00
O  0.500  0.500  0.237  0.00
O  0.658  0.808  0.986  0.00
O  0.192  0.658  0.014  0.00
O  0.500  0.500  0.763  0.00
O  0.000  0.000  0.737  0.00
O  0.842  0.308  0.486  0.00
O  0.000  0.000  0.263  0.00
O  0.342  0.192  0.986  0.00
O  0.308  0.158  0.514  0.00
Nb  0.500  0.500  0.000  0.02
Nb  0.000  0.000  0.500  0.02
Sr  0.000  0.500  0.750  0.00
Sr  0.500  0.000  0.250  0.00
Ca  0.000  0.500  0.250  0.00
Ca  0.500  0.000  0.750  0.00

- energy relative to the elements, uncorrected (eV per atom) = -2.97
- SG = P-4n2 (118)
- energy relative to the lowest polymorph listed for this composition (meV/atom) = 0
- DOS(E_F) (states/eV/atom) = 0.00
- total magnetic moment (μB per cell) = 14.0
- density (g cm⁻³) = 5.4

VASP calculation (PBE) on CaNdGd after structural relaxation.

Lattice parameters (Å, degrees): 3.704 3.704 8.288 102.91 102.91 90.00
Site moments in Bohr magnetons follow the coordinates.
Positions (direct):
Ca  0.000  0.000  0.999  -0.01
Gd  0.325  0.325  0.649  7.23
Nd  0.676  0.676  0.351  -0.07

- formation energy (eV/atom) = 0.037
- SG = I4mm (107)
- energy relative to the lowest polymorph listed for this composition (meV/atom) = 0
- DOS(E_F) (states/eV/atom) = 1.30
- total magnetic moment (μB per cell) = 7.4
- density (g cm⁻³) = 5.3

VASP calculation (PBE) on CaNdGd after structural relaxation.

“If you go any lower, we’ll get arrested.” He chuckled.

He pulled her hand up from inside the waistband of his pants, and she giggled, she hadn’t even realized she’d done that.

“Although if you really want to, we can go someplace a little more private,” his husky voice whispered in her ear.

She did want to, but even more, she wanted to know what the surprise was. “Later. Definitely later. You can't tell me you have a surprise and then not tell me what it is.”

Chance threw back his head and laughed. “You are so impatient.”

She punched him playfully in the arm. “What’s the surprise? You can't leave me hanging, that would be cruel.”

“Well,” Chance paused dramatically, “I don’t want to be cruel, so …” He reached into his coat pocket and pulled out a blindfold. “You have to put this on.”

Surprised and intrigued, Hope nodded eagerly and closed her eyes while Chance wrapped the piece of cloth around her head and secured it at the back. He took hold of her and began to lead her up the street. Had he set up something special nearby? It was a residential area, no restaurants, and not close to the park either. What was he up to?

“Only a little further,” he said.

Just when she thought she was about to burst with excitement and anticipation, Chance stopped. “We’re here.”


“At your surprise.”

He released her hand and untied the blindfold. Hope blinked in the midday sunlight and looked around. They didn’t appear to be anywhere special. They were on a street around the corner from where she’d met Chance. They were standing on the sidewalk, and she spun in a circle, searching for something special, but found nothing out of the ordinary.

“I don’t get it,” she said at last. “What’s the surprise?”

Chance took her shoulders and turned her to face the house they were standing in front of. “This is.”

Confused, she looked up at him. “It’s a house.”

“It’sourhouse,” he corrected.

Her eyes grew wide, and her mouth fell open in shock. “Ourhouse,” she repeated. “We don’t have a house.”

“We do now.”

“Since when?”

“Since about an hour ago.”

“You really bought this for us?” Hope could feel tears welling up. This house was gorgeous. It wasexactlywhat she had imagined. It was perfect. Literally perfect. And to know that Chance had done this for her made it even better.

“I really bought this for us, to start our lives together in.”

Hope threw her arms around Chance’s neck and buried her face in his shoulder. Tears of pure joy were rolling down her cheeks. “I love you so much.”

“I love you more.”

* * * * *